Another bang resounds. I flinch as a shotgun shell skids near my cheek.

“ZOEY!” I hear my name in the distance. October. October is calling me. My heart tries to flood with more than just fear and adrenaline.

“ZOEY!” Brian yells. I can’t see him. I can’t see Parry or Colt or Babette, but I hear all of them.

I whip my head back behind me, Ashton’s grip still tight on my ankle, but he’s stumbling backwards, staring wide-eyed at his shoulder. Blood soaks through his khaki cargo jacket. Right as I scramble to pull away, Ashton trips over loose rock and he begins to fall.

Taking me with him.

I shriek.

“ZOEY!” October screams.

I’m sliding. I’m sliding! I can’t slip over the edge. Don’t slip over the edge. On the other side of the cliff is a drop into endless oak and hickory trees. As Ashton stumbles backward, his weight is yanking me towards the edge, and he clutches me—not like a parachute.

# Attached: records of molecules
# 1
Here is a molecular structure, C59H50I2MoN10O3S4 from OMol25. Energies are from the ωB97M-V functional and the def2-TZVPD basis.

Atoms and positions in Å:
1 Mo 0.05809 0.21129 0.17224
2 I -0.17225 7.54906 -1.98350
3 C 0.13521 5.71512 -1.04428
4 C -0.46882 5.45925 0.17332
5 C -0.30849 4.21472 0.76883
6 I -1.30745 3.85808 2.56648
7 C 0.46404 3.21233 0.17492
8 O 0.64761 1.99684 0.71081
9 C 1.07786 3.50671 -1.04069
10 C 1.82369 2.38113 -1.69026
11 N 0.92475 1.20786 -1.86340
12 C -0.22158 1.50191 -2.77129
13 C -1.57919 1.19385 -2.17710
14 C -2.60896 1.06797 -3.05284
15 C -4.03629 0.92038 -2.81070
16 C -4.71361 1.20506 -1.69262
17 C -2.74398 0.99678 -0.04267
18 N -1.53848 1.15255 -0.80476
19 C 0.90725 4.73772 -1.65307
20 H -1.06260 6.22042 0.66328
21 H 2.22588 2.70719 -2.65037
22 H 2.64922 2.06242 -1.05810
23 H 1.46367 0.46828 -2.27168
24 H -0.20381 2.56321 -2.99846
25 H -0.11130 0.97392 -3.71386
26 H -2.32230 1.07963 -4.09982
27 H -4.61611 0.55049 -3.65331
28 H -5.78629 1.04877 -1.62932
29 H -2.54026 1.22399 1.00744
30 H 1.37524 4.92962 -2.61343
31 N 1.56188 -1.01688 1.01501
32 S 2.10962 -2.06775 1.83471
33 N 2.17243 -3.58062 1.22639
34 S 2.10650 -4.24303 -0.14752
35 N 1.32105 -3.70597 -1.35137
36 S 0.98281 -2.23696 -1.97155
37 N 0.20629 -1.28834 -1.20696
38 C 0.03424 -2.75960 -3.36283
39 C -0.75072 -3.89621 -3.24755
40 C -1.59080 -4.22909 -4.29764
41 C -1.63383 -3.43613 -5.43638
42 C -0.84024 -2.29762 -5.53349
43 C -0.00427 -1.94698 -4.48799
44 C 2.59121 -1.73821 -2.62140
45 C 3.39693 -0.97816 -1.78203
46 C 4.68015 -0.64386 -2.19817
47 C 5.14691 -1.06175 -3.43652
48 C 4.34168 -1.84223 -4.25988
49 C 3.06440 -2.19760 -3.85213
50 C 1.34871 -5.79353 0.18094
51 C 0.73210 -5.99744 1.40137
52 C 0.15375 -7.23553 1.64080
53 C 0.20810 -8.22909 0.67383
54 C 0.83671 -7.99961 -0.54850
55 C 1.41828 -6.77186 -0.80657
56 C 3.74511 -4.72091 -0.61976
57 C 4.19618 -4.56674 -1.91595
58 C 5.49535 -4.95304 -2.21718
59 C 6.30468 -5.49881 -1.23246
60 C 5.82401 -5.67196 0.06534
61 C 4.53671 -5.28287 0.38426
62 C 3.77323 -1.65270 2.28482
63 C 3.95462 -0.66703 3.25205
64 C 5.22661 -0.16624 3.46829
65 C 6.29656 -0.62994 2.70996
66 C 6.09478 -1.59308 1.73173
67 C 4.82465 -2.10872 1.50933
68 C 1.31409 -2.59226 3.35591
69 C 1.99985 -2.73663 4.55920
70 C 1.31107 -3.22824 5.66027
71 C -0.03031 -3.57268 5.55096
72 C -0.69256 -3.44705 4.33327
73 C -0.02060 -2.96244 3.22418
74 H -0.70751 -4.50465 -2.35189
75 H -2.21452 -5.11159 -4.22431
76 H -2.29039 -3.70463 -6.25461
77 H -0.87138 -1.68343 -6.42541
78 H 0.61714 -1.06230 -4.56217
79 H 3.03012 -0.66894 -0.80980
80 H 5.31339 -0.05016 -1.54647
81 H 6.14284 -0.78105 -3.76263
82 H 4.71104 -2.18434 -5.22104
83 H 2.44946 -2.82660 -4.48331
84 H 0.71502 -5.21035 2.14630
85 H -0.33419 -7.42360 2.58986
86 H -0.23909 -9.19608 0.87316
87 H 0.87924 -8.78136 -1.29665
88 H 1.91121 -6.57691 -1.75463
89 H 3.54587 -4.16045 -2.67689
90 H 5.86761 -4.83553 -3.22832
91 H 7.31624 -5.80332 -1.47563
92 H 6.45510 -6.11297 0.82731

But like he’s ready to die with me.

I kick him.

I kick and kick and kick like this is the last breath I might take. I’m so close to the fucking edge when my foot rips out of his grip. I roll quickly onto my ass and scuttle backwards, digging my elbows and heels into the dirt.

Before I can see Ashton fall backward, hands are underneath my armpits. “Don’t look!” Brian shouts and pulls me so far away from the edge. We’re back in the thick, muddy woods. Away from rock. Fog conceals the cliffside again, and I can only hear the breakage of tree branches and a final thump.

I try to catch my breath. I’m in safe hands that try to bring air to my starved lungs.

“I have you. I have you.” Brian helps me to my feet, his hands hovering over my trembling body while my chest rises and falls, and I try to make sense of what just happened. He’s studying me head to toe. “You’re bleeding.”

My leg… “It’s not that deep.” And I lock eyes with Brian—I lock eyes with my dad—and something powerful overwhelms every piece of me. Burns my gaze. Swells my throat.

My dad is here.

And I just feel in my heart of hearts—that everything is going to be okay. And isn’t that what dads do? They make things feel okay.

“Don’t leave me,” I choke out and toss my arms around him. He’s so surprised by the hug, it takes him a minute to hug back. But when he does, his arms tighten tenfold around me.

I feel like I’m seven. Knees scraped up from tripping over my feet. Needing my dad, but there comes my big brother instead.

My dad has been here all along.

When we pull back, I start to ask, “Where’s…?” I don’t need to finish. I see her. October, Parry, Colt, and Babette are barreling through the morning fog, and they stop when they reach us.

“Zoey,” October breathes a strangled breath. I must look like utter shit. She’s so beautiful, even with fear and determination icing her features into commanding stoicism.

“There you are,” I try to joke, but my voice sounds hoarse. “I thought I was meeting you here…” I’m walking to her.

“I’m here now.” She’s walking towards me. Until we both begin to sprint. We collide like there is nowhere else to go. Nowhere else that makes sense. When we embrace, we’re like her lovebirds landing softly together in a nest.

Safe at home.

My fingers curl around her pink peacoat. I bury my nose into the sweet scent of her hair. She holds onto me—holds me up—until my leg hurts enough that I kneel. October kneels with me. She cups my dirtied, scratched cheeks, and we kiss through silent tears.

I’m covered in mud. “Your coat.” I try unsuccessfully to pluck a chunk of mud from the fur. Now brown. “I’ll get it dry-cleaned.”

She glares like I’m the fool she loves. “I don’t care about the fucking coat.”

“I do…it belongs to you.”

October looks overwhelmed. She places a sweet kiss on my forehead. “Forget the coat, sweets.”

Brian, Parry, and Colt are around us as light rain continues to drizzle in the cold. They’re asking me about Ashton. How I ended up here, but I shake my head, a mess of confusion about other details.

He was shot, and before I ask them, I suddenly see a gun on the ground. Right beside October.

The bottom of my stomach drops. “Kenobi, did you…?” I trail off, remembering the shotgun shell.

The gun next to her is a pistol.

Our eyes meet.

“I didn’t,” she breathes. “It wasn’t me.”

“Then who…?”

Who shot Ashton?

“OB!” Babette calls out, and we all rotate to the right. Babette stands near a wooden sign that warns of the cliff ahead.

She’s not alone.

Amelia Roberts is here, and Miss Mistpoint herself has a shotgun slung on her back. She clutches her arms like she’s cold, but her green puffer rain jacket looks warm. Her glasses mist from the fog, and mud is caked up to her shins.